# Job
Next, print all of the material below character by character.

# Input
********
No. 1
# C39H78ClN2O19P2S

6 unconnected molecules or ions with the total composition C39H78ClN2O19P2S at a distorted geometry (ωB97M-V with the def2-TZVPD basis set, the OMol25 dataset).

Atoms and positions in Å:
C (6.2287, 0.8214, 2.7904)
C (4.9679, 1.3795, 3.4914)
O (4.6119, 2.6787, 2.9951)
C (3.2006, 2.8628, 3.1247)
C (2.9940, 4.3787, 3.2405)
O (1.6032, 4.8239, 3.4021)
C (0.7027, 3.8413, 3.4461)
C (0.1085, 3.2943, 4.5526)
C (0.2874, 3.6423, 6.0113)
C (1.7098, 4.1452, 6.3691)
N (-0.7320, 2.2945, 4.0406)
C (-1.5012, 1.4648, 4.9753)
C (-0.6511, 0.2607, 5.5249)
C (-1.3919, -1.0969, 5.3422)
C (-1.3280, -1.5132, 3.8470)
S (-1.3932, -3.2850, 3.5258)
O (-1.4164, -4.0826, 4.7083)
O (-0.2454, -3.5940, 2.7175)
O (-2.6608, -3.5690, 2.5815)
C (-0.6922, 2.2393, 2.7194)
C (-1.4409, 1.2540, 1.8477)
C (-2.9931, 1.3273, 1.9304)
P (-3.6500, 0.0601, 0.7369)
O (-2.5368, -0.8902, 0.5132)
O (-4.0977, 0.6463, -0.6963)
C (-3.0504, 1.2934, -1.4403)
C (-3.0994, 2.8258, -1.1206)
O (-4.8872, -0.7835, 1.3276)
C (-5.7047, -0.1046, 2.3107)
C (-6.2917, 1.2552, 1.8490)
N (0.1844, 3.1871, 2.3167)
P (0.7816, 3.7118, 0.7222)
O (-0.4243, 4.5733, 0.0230)
Cl (1.0685, 2.0193, -0.4428)
H (6.0832, -0.2690, 2.7009)
H (6.3807, 1.2112, 1.7780)
H (7.1201, 0.9350, 3.4259)
H (5.2014, 1.4486, 4.5712)
H (4.1566, 0.6517, 3.3093)
H (2.7622, 2.4242, 2.2058)
H (2.8978, 2.3019, 4.0264)
H (3.4070, 4.9244, 2.3813)
H (3.5437, 4.7277, 4.1274)
H (-0.4656, 4.4110, 6.2669)
H (0.0572, 2.7879, 6.6671)
H (1.7893, 4.1113, 7.4684)
H (2.4489, 3.4332, 5.9790)
H (1.8929, 5.1859, 6.0813)
H (-1.9001, 2.0782, 5.7921)
H (-2.3654, 1.0140, 4.4754)
H (-0.3440, 0.4280, 6.5669)
H (0.2488, 0.2195, 4.8851)
H (-2.4468, -0.9726, 5.6413)
H (-0.9138, -1.8475, 5.9856)
H (-0.3878, -1.1365, 3.4155)
H (-2.1482, -1.0316, 3.2890)
H (-2.3987, -3.2510, 1.6943)
H (-1.1565, 1.3214, 0.7933)
H (-1.1362, 0.2609, 2.1996)
H (-3.4031, 1.1309, 2.9309)
H (-3.3562, 2.3364, 1.6674)
H (-2.0493, 0.8883, -1.2332)
H (-3.2013, 1.1891, -2.5245)
H (-2.3842, 3.0028, -0.3066)
H (-2.8621, 3.4258, -2.0025)
H (-4.0944, 3.0556, -0.7129)
H (-6.5571, -0.7747, 2.4999)
H (-5.1776, -0.0334, 3.2766)
H (-7.3627, 1.3531, 2.0694)
H (-6.0734, 1.4818, 0.7952)
H (-5.7941, 2.0503, 2.4371)
H (-1.0819, 4.8347, 0.6969)
O (4.1110, -1.0147, 0.5457)
C (3.4199, -1.7578, -0.1051)
O (2.1695, -2.0317, 0.3065)
C (1.1916, -2.7327, -0.4792)
C (1.3286, -4.2291, -0.3164)
C (3.9579, -2.4575, -1.3263)
H (1.2351, -2.4202, -1.5244)
H (0.2205, -2.4126, -0.0997)
H (2.2947, -4.5844, -0.6755)
H (0.5449, -4.7483, -0.8685)
H (1.2579, -4.5020, 0.7379)
H (4.4660, -3.3715, -1.0211)
H (4.6739, -1.7963, -1.8111)
H (3.1985, -2.6902, -2.0708)
O (2.3169, -4.8203, -4.0260)
C (2.4144, -4.1571, -5.0234)
O (2.1157, -2.8457, -4.9759)
C (2.3872, -1.9262, -6.0447)
C (1.2683, -1.9115, -7.0627)
C (2.7792, -4.7822, -6.3472)
H (3.3588, -2.1336, -6.4957)
H (2.4665, -0.9451, -5.5776)
H (1.1507, -2.8836, -7.5446)
H (1.4617, -1.1657, -7.8343)
H (0.3181, -1.6791, -6.5796)
H (1.8765, -5.1689, -6.8191)
H (3.4628, -5.6070, -6.1572)
H (3.2891, -4.1055, -7.0290)
O (-2.6704, 6.0289, 0.1262)
C (-2.6216, 6.7714, -0.8286)
O (-2.9697, 8.0479, -0.6739)
C (-2.7649, 9.0628, -1.6705)
C (-3.9119, 9.1072, -2.6570)
C (-2.2619, 6.2664, -2.2020)
H (-1.7976, 8.9362, -2.1583)
H (-2.7158, 10.0045, -1.1266)
H (-4.0008, 8.1736, -3.2138)
H (-3.7714, 9.9207, -3.3687)
H (-4.8563, 9.2574, -2.1329)
H (-3.1590, 5.8793, -2.6850)
H (-1.5395, 5.4606, -2.0908)
H (-1.7969, 7.0154, -2.8377)
O (1.2923, -0.2823, -10.0399)
C (0.5881, -1.0047, -10.6937)
O (-0.6635, -1.2625, -10.2749)
C (-1.6457, -1.9393, -11.0687)
C (-1.5309, -3.4423, -10.9262)
C (1.1101, -1.6994, -11.9275)
H (-1.5954, -1.6131, -12.1086)
H (-2.6118, -1.6103, -10.6880)
H (-0.5691, -3.8081, -11.2872)
H (-2.3219, -3.9411, -11.4871)
H (-1.6088, -3.7297, -9.8768)
H (1.6063, -2.6238, -11.6331)
H (1.8342, -1.0438, -12.4066)
H (0.3453, -1.9139, -12.6703)
O (3.8037, -8.6836, 5.8835)
C (3.0313, -7.8106, 5.5998)
O (2.3343, -7.1971, 6.5758)
C (1.5480, -6.0195, 6.3689)
********

# Response
No. 1
# C39H78ClN2O19P2S

6 unconnected molecules or ions with the total composition C39H78ClN2O19P2S at a distorted geometry (ωB97M-V with the def2-TZVPD basis set, the OMol25 dataset).

Atoms and positions in Å:
C (6.2287, 0.8214, 2.7904)
C (4.9679, 1.3795, 3.4914)
O (4.6119, 2.6787, 2.9951)
C (3.2006, 2.8628, 3.1247)
C (2.9940, 4.3787, 3.2405)
O (1.6032, 4.8239, 3.4021)
C (0.7027, 3.8413, 3.4461)
C (0.1085, 3.2943, 4.5526)
C (0.2874, 3.6423, 6.0113)
C (1.7098, 4.1452, 6.3691)
N (-0.7320, 2.2945, 4.0406)
C (-1.5012, 1.4648, 4.9753)
C (-0.6511, 0.2607, 5.5249)
C (-1.3919, -1.0969, 5.3422)
C (-1.3280, -1.5132, 3.8470)
S (-1.3932, -3.2850, 3.5258)
O (-1.4164, -4.0826, 4.7083)
O (-0.2454, -3.5940, 2.7175)
O (-2.6608, -3.5690, 2.5815)
C (-0.6922, 2.2393, 2.7194)
C (-1.4409, 1.2540, 1.8477)
C (-2.9931, 1.3273, 1.9304)
P (-3.6500, 0.0601, 0.7369)
O (-2.5368, -0.8902, 0.5132)
O (-4.0977, 0.6463, -0.6963)
C (-3.0504, 1.2934, -1.4403)
C (-3.0994, 2.8258, -1.1206)
O (-4.8872, -0.7835, 1.3276)
C (-5.7047, -0.1046, 2.3107)
C (-6.2917, 1.2552, 1.8490)
N (0.1844, 3.1871, 2.3167)
P (0.7816, 3.7118, 0.7222)
O (-0.4243, 4.5733, 0.0230)
Cl (1.0685, 2.0193, -0.4428)
H (6.0832, -0.2690, 2.7009)
H (6.3807, 1.2112, 1.7780)
H (7.1201, 0.9350, 3.4259)
H (5.2014, 1.4486, 4.5712)
H (4.1566, 0.6517, 3.3093)
H (2.7622, 2.4242, 2.2058)
H (2.8978, 2.3019, 4.0264)
H (3.4070, 4.9244, 2.3813)
H (3.5437, 4.7277, 4.1274)
H (-0.4656, 4.4110, 6.2669)
H (0.0572, 2.7879, 6.6671)
H (1.7893, 4.1113, 7.4684)
H (2.4489, 3.4332, 5.9790)
H (1.8929, 5.1859, 6.0813)
H (-1.9001, 2.0782, 5.7921)
H (-2.3654, 1.0140, 4.4754)
H (-0.3440, 0.4280, 6.5669)
H (0.2488, 0.2195, 4.8851)
H (-2.4468, -0.9726, 5.6413)
H (-0.9138, -1.8475, 5.9856)
H (-0.3878, -1.1365, 3.4155)
H (-2.1482, -1.0316, 3.2890)
H (-2.3987, -3.2510, 1.6943)
H (-1.1565, 1.3214, 0.7933)
H (-1.1362, 0.2609, 2.1996)
H (-3.4031, 1.1309, 2.9309)
H (-3.3562, 2.3364, 1.6674)
H (-2.0493, 0.8883, -1.2332)
H (-3.2013, 1.1891, -2.5245)
H (-2.3842, 3.0028, -0.3066)
H (-2.8621, 3.4258, -2.0025)
H (-4.0944, 3.0556, -0.7129)
H (-6.5571, -0.7747, 2.4999)
H (-5.1776, -0.0334, 3.2766)
H (-7.3627, 1.3531, 2.0694)
H (-6.0734, 1.4818, 0.7952)
H (-5.7941, 2.0503, 2.4371)
H (-1.0819, 4.8347, 0.6969)
O (4.1110, -1.0147, 0.5457)
C (3.4199, -1.7578, -0.1051)
O (2.1695, -2.0317, 0.3065)
C (1.1916, -2.7327, -0.4792)
C (1.3286, -4.2291, -0.3164)
C (3.9579, -2.4575, -1.3263)
H (1.2351, -2.4202, -1.5244)
H (0.2205, -2.4126, -0.0997)
H (2.2947, -4.5844, -0.6755)
H (0.5449, -4.7483, -0.8685)
H (1.2579, -4.5020, 0.7379)
H (4.4660, -3.3715, -1.0211)
H (4.6739, -1.7963, -1.8111)
H (3.1985, -2.6902, -2.0708)
O (2.3169, -4.8203, -4.0260)
C (2.4144, -4.1571, -5.0234)
O (2.1157, -2.8457, -4.9759)
C (2.3872, -1.9262, -6.0447)
C (1.2683, -1.9115, -7.0627)
C (2.7792, -4.7822, -6.3472)
H (3.3588, -2.1336, -6.4957)
H (2.4665, -0.9451, -5.5776)
H (1.1507, -2.8836, -7.5446)
H (1.4617, -1.1657, -7.8343)
H (0.3181, -1.6791, -6.5796)
H (1.8765, -5.1689, -6.8191)
H (3.4628, -5.6070, -6.1572)
H (3.2891, -4.1055, -7.0290)
O (-2.6704, 6.0289, 0.1262)
C (-2.6216, 6.7714, -0.8286)
O (-2.9697, 8.0479, -0.6739)
C (-2.7649, 9.0628, -1.6705)
C (-3.9119, 9.1072, -2.6570)
C (-2.2619, 6.2664, -2.2020)
H (-1.7976, 8.9362, -2.1583)
H (-2.7158, 10.0045, -1.1266)
H (-4.0008, 8.1736, -3.2138)
H (-3.7714, 9.9207, -3.3687)
H (-4.8563, 9.2574, -2.1329)
H (-3.1590, 5.8793, -2.6850)
H (-1.5395, 5.4606, -2.0908)
H (-1.7969, 7.0154, -2.8377)
O (1.2923, -0.2823, -10.0399)
C (0.5881, -1.0047, -10.6937)
O (-0.6635, -1.2625, -10.2749)
C (-1.6457, -1.9393, -11.0687)
C (-1.5309, -3.4423, -10.9262)
C (1.1101, -1.6994, -11.9275)
H (-1.5954, -1.6131, -12.1086)
H (-2.6118, -1.6103, -10.6880)
H (-0.5691, -3.8081, -11.2872)
H (-2.3219, -3.9411, -11.4871)
H (-1.6088, -3.7297, -9.8768)
H (1.6063, -2.6238, -11.6331)
H (1.8342, -1.0438, -12.4066)
H (0.3453, -1.9139, -12.6703)
O (3.8037, -8.6836, 5.8835)
C (3.0313, -7.8106, 5.5998)
O (2.3343, -7.1971, 6.5758)
C (1.5480, -6.0195, 6.3689)